The 10 NKN fee makes attacks cost the SQUARE of the price of NKN

We want the cost of an attack to be proportional to the price of NKN - if NKN becomes 10 times more expensive it should cost an attacker 10 times as much to attack the network.

The 10 NKN fee to start mining is means that the cost of attack isn’t proportional to the price of NKN, but proportional to the SQUARE of the price of NKN.

Inserted here: records of crystals:
- - -
# 1
Entry from the Materials Project database: an optimized crystal structure of Mn2PC5NO11 (PBE+U).

a b c (Å): 7.4726 7.7138 9.6072
angles (deg): 75.36 78.67 82.93
Space group P-1 (No. 2)
Symmetry-distinct sites (fractional):
Mn (0.1610, 0.4700, 0.2572) (multiplicity 2)
Mn (0.1949, 0.8094, 0.6162) (multiplicity 2)
P (0.0888, 0.2240, 0.5861) (multiplicity 2)
C (0.0692, 0.5689, 0.9549) (multiplicity 2)
C (0.0848, 0.0010, 0.0011) (multiplicity 2)
C (0.4144, 0.0007, 0.0013) (multiplicity 2)
C (0.4796, 0.2576, 0.2725) (multiplicity 2)
C (0.4904, 0.5693, 0.6896) (multiplicity 2)
N (0.2490, 0.0041, 0.0019) (multiplicity 2)
O (0.0022, 0.7100, 0.5599) (multiplicity 2)
O (0.0204, 0.6838, 0.2929) (multiplicity 2)
O (0.0392, 0.6429, 0.8250) (multiplicity 2)
O (0.0536, 0.0196, 0.6518) (multiplicity 2)
O (0.1945, 0.5980, 0.0130) (multiplicity 2)
O (0.2838, 0.2682, 0.5361) (multiplicity 2)
O (0.3065, 0.8868, 0.4455) (multiplicity 2)
O (0.3348, 0.2585, 0.2200) (multiplicity 2)
O (0.3445, 0.5666, 0.6433) (multiplicity 2)
O (0.3917, 0.5630, 0.2816) (multiplicity 2)
O (0.3940, 0.8669, 0.7157) (multiplicity 2)

* theoretical density: 2.5 g cm⁻³
* formation enthalpy at 0 K: -1.33 eV per atom


# 2
Entry from the Materials Project database: an optimized crystal structure of PrMgW2O6 (PBE+U).

a b c (Å): 5.5039 5.7197 9.7842
angles (deg): 90.00 124.01 90.00
Space group Pc (No. 7)
Symmetry-distinct sites (fractional):
Pr (0.0000, 0.1970, 0.0000) (multiplicity 2)
Mg (0.4771, 0.2984, 0.5003) (multiplicity 2)
W (0.2408, 0.2555, 0.7495) (multiplicity 2)
W (0.7414, 0.2522, 0.2499) (multiplicity 2)
O (0.0222, 0.4532, 0.8180) (multiplicity 2)
O (0.1391, 0.0574, 0.3169) (multiplicity 2)
O (0.3673, 0.4608, 0.1797) (multiplicity 2)
O (0.4814, 0.0698, 0.6785) (multiplicity 2)
O (0.5995, 0.3350, 0.9973) (multiplicity 2)
O (0.8484, 0.1988, 0.5031) (multiplicity 2)

* theoretical density: 8.2 g cm⁻³
* formation enthalpy at 0 K: -2.49 eV per atom


# 3
Entry from the Materials Project database: an optimized crystal structure of VOF (PBE+U).

a b c (Å): 4.6789 5.6378 10.5428
angles (deg): 96.53 90.81 92.01
Space group P-1 (No. 2)
Symmetry-distinct sites (fractional):
V (0.0000, 0.0000, 0.0000) (multiplicity 1)
V (0.0000, 0.5000, 0.5000) (multiplicity 1)
V (0.0135, 0.2512, 0.7615) (multiplicity 2)
V (0.4826, 0.2550, 0.2625) (multiplicity 2)
V (0.5000, 0.0000, 0.5000) (multiplicity 1)
V (0.5000, 0.5000, 0.0000) (multiplicity 1)
O (0.1899, 0.5213, 0.6768) (multiplicity 2)
O (0.2012, 0.0176, 0.1729) (multiplicity 2)
O (0.2045, 0.2741, 0.9326) (multiplicity 2)
O (0.3054, 0.2652, 0.4307) (multiplicity 2)
F (0.2005, 0.7761, 0.4185) (multiplicity 2)
F (0.2975, 0.0246, 0.6729) (multiplicity 2)
F (0.3014, 0.5280, 0.1755) (multiplicity 2)
F (0.3064, 0.7692, 0.9164) (multiplicity 2)

* theoretical density: 4.1 g cm⁻³
* formation enthalpy at 0 K: -2.78 eV per atom


# 4
Entry from the Materials Project database: an optimized crystal structure of Ba3Fe2Br2O5 (PBE+U).
- - -
Back to the article:

The reason is as follows: if the price of NKN rises by a factor of z then we expect there to be z times as many nodes in the network. So not only does the attacker have to have z times as many nodes to start an attack, the 10 NKN also costs z times as much so he ends up needing z^2 times as much money to start the attack. I’ll walk through an example with made-up values to illustrate but first I need to explain how miners reach equilibrium.

If it costs $1.00/month in costs to run a node in the network, then people are incentivised to keep starting new nodes, increasing the total number of nodes until the mining rewards goes below $1.00/month where people will stop making new nodes. If the price of NKN from here rises by a factor of 5, then we expect there to result with exactly 5 times as many miners before the mining rewards average $1.00 again. This is the equilibrium of mining - where the rewards in NKN of the network matches the cost of running the node. Now I’ll walk through the example of attack costs with imaginary values.

If there are 20,000 nodes in the network it means the price of NKN is $0.02 so the total network of NKN is worth $20m. Assume an attacker needs to create eg half of the total nodes to start an attack, so he will create 10,000 nodes each costing 10 NKN so it costs 100,000 NKN to start an attack, meaning his cost is $0.02*100,000 = $2,000 to start the attack. If NKN rises by a factor of 100 from $0.02 to $2.00, we expect the node count now to also rise to 100x its size for the miners reach equilibrium again so we expect 2,000,000 nodes in the network at this higher price. To generate an attack he needs half that many nodes again, so 1,000,000 nodes, each requiring 10 NKN for a total of 10,000,000 NKN needed. This costs $2.00 * 10,000,000 = $20m to start the attack. So you can see that the price of NKN rose by a factor of 100 but the cost to start an attack rose by 100^2 = 10,000.

The way to solve this is to tie the price to USD instead of NKN so that the cost of an attack remains proportional to the price of NKN rather than the square of the price of NKN.

Attached: materials data:
********
Material: Lu2TiO5
Method: DFT, PBE
State: optimized geometry

Values from the calculation:
Distance to the lowest polymorph of the same formula = 0.000 eV per atom
Corrected total energy (MP2020 scheme) = -9.1282 eV per atom
Space-group type = Pnma, No. 62
Crystal system = orthorhombic
Formation enthalpy at 0 K = -3.92 eV per atom

Structure (CIF):
```
data_Lu2TiO5
_chemical_formula_sum 'Lu8 Ti4 O20'
_cell_length_a 3.635
_cell_length_b 10.292
_cell_length_c 11.097
_cell_angle_alpha 90.00
_cell_angle_beta 90.00
_cell_angle_gamma 90.00
_space_group_name_H-M_alt 'P 1'
_space_group_IT_number 1
loop_
_space_group_symop_operation_xyz
'x,y,z'
loop_
_atom_site_label
_atom_site_type_symbol
_atom_site_fract_x
_atom_site_fract_y
_atom_site_fract_z
O1 O 0.250 0.756 0.384
O2 O 0.250 0.993 0.104
O3 O 0.250 0.493 0.396
Lu1 Lu 0.250 0.115 0.276
Lu2 Lu 0.750 0.365 0.443
Lu3 Lu 0.750 0.865 0.057
O4 O 0.250 0.256 0.116
O5 O 0.250 0.760 0.727
O6 O 0.750 0.993 0.341
Ti1 Ti 0.250 0.176 0.620
O7 O 0.750 0.774 0.546
O8 O 0.250 0.726 0.046
O9 O 0.750 0.274 0.954
O10 O 0.750 0.507 0.604
Ti2 Ti 0.750 0.824 0.380
Lu4 Lu 0.250 0.135 0.943
O11 O 0.250 0.507 0.841
O12 O 0.250 0.226 0.454
Lu5 Lu 0.250 0.635 0.557
O13 O 0.750 0.240 0.273
O14 O 0.750 0.493 0.159
Ti3 Ti 0.750 0.324 0.120
O15 O 0.750 0.744 0.884
O16 O 0.250 0.260 0.773
Lu6 Lu 0.250 0.615 0.224
Ti4 Ti 0.250 0.676 0.880
O17 O 0.750 0.740 0.227
O18 O 0.750 0.244 0.616
Lu7 Lu 0.750 0.885 0.724
O19 O 0.750 0.007 0.896
Lu8 Lu 0.750 0.385 0.776
O20 O 0.250 0.007 0.659
```
********
The article goes on:

Also, with a fixed fee of 10 NKN, it becomes more and more expensive to start mining on the network as the price of NKN rises. The growth of the node count of the network is crippled by a fee of 10 NKN. When NKN hits $100 it’s going to cost $1,000 to start a node. It would be impossible to recoup those costs from producing useful work in the network (relying on the bonus mining rewards is not acceptable). It is necessary to fix the price in USD not NKN.

Now the problem is how to make the fee fixed in USD without using an oracle.

Here’s one solution I thought of (that may be flawed) that relies only on knowing the addresses of the nodes that won each mining reward in the past 100,000 blocks and everyone in the network can agree on this without argument.

[Crystal structures that have nothing to do with the article]
-- begin --
Entry 1:
DFT (PBE-GGA) results for Ho4CdCo after structural relaxation.

Results
- energy relative to the elements (eV per atom) = -0.254

```
Ho4CdCo
1.0
0.000 6.685 6.685
6.685 0.000 6.685
6.685 6.685 0.000
Ho Co Cd
16 4 4
direct
0.961 0.346 0.346
0.188 0.812 0.812
0.346 0.346 0.346
0.938 0.562 0.938
0.346 0.346 0.961
0.188 0.188 0.812
0.562 0.938 0.938
0.938 0.938 0.562
0.562 0.562 0.938
0.812 0.812 0.188
0.812 0.188 0.812
0.812 0.188 0.188
0.188 0.812 0.188
0.938 0.562 0.562
0.562 0.938 0.562
0.346 0.961 0.346
0.141 0.141 0.577
0.577 0.141 0.141
0.141 0.141 0.141
0.141 0.577 0.141
0.581 0.581 0.258
0.581 0.258 0.581
0.581 0.581 0.581
0.258 0.581 0.581
```

---

Entry 2:
DFT (PBE-GGA) results for Mg14CdCo after structural relaxation.

Results
- energy relative to the elements (eV per atom) = 0.045
- ΔE to the lowest computed polymorph (eV per formula unit) = 0.00

```
Mg14CdCo
1.0
-6.020 1.225 -1.325
1.448 -4.154 4.489
-0.002 7.272 6.731
Mg Cd Co
14 1 1
direct
0.833 0.667 0.873
0.668 0.337 0.125
0.326 0.653 0.885
0.326 0.174 0.365
0.163 0.832 0.125
0.833 0.667 0.377
0.668 0.832 0.125
0.168 0.834 0.625
0.847 0.174 0.885
0.666 0.332 0.625
0.666 0.834 0.625
0.847 0.174 0.365
0.326 0.174 0.885
0.326 0.653 0.365
0.167 0.333 0.625
0.167 0.333 0.125
```

---

Entry 3:
DFT (PBE-GGA) results for Mg6CdCo after structural relaxation.

Results
- energy relative to the elements (eV per atom) = 0.089

```
Mg6CdCo
1.0
-1.510 -1.873 4.264
0.968 -5.686 -2.155
9.901 0.305 3.641
Co Mg Cd
2 12 2
direct
0.000 0.500 0.345
0.000 0.000 0.845
0.500 0.236 0.909
0.000 0.750 0.084
0.000 0.000 0.334
0.000 0.250 0.084
0.500 0.500 0.666
0.500 0.264 0.409
0.500 0.736 0.409
0.000 0.500 0.834
0.500 0.000 0.166
0.000 0.250 0.584
0.500 0.764 0.909
0.000 0.750 0.584
0.500 0.500 0.169
0.500 0.000 0.669
```

---

Entry 4:
DFT (PBE-GGA) results for Mg14CdCo after structural relaxation.

Results
- energy relative to the elements (eV per atom) = 0.054
- ΔE to the lowest computed polymorph (eV per formula unit) = 0.15

```
Mg14CdCo
1.0
6.296 -0.020 0.000
-3.165 5.482 0.000
0.000 0.000 9.889
Mg Cd Co
14 1 1
direct
0.845 0.173 0.363
0.832 0.666 0.871
0.665 0.835 0.625
0.168 0.334 0.625
0.832 0.666 0.379
0.674 0.339 0.125
0.171 0.836 0.625
0.845 0.173 0.887
0.665 0.330 0.625
0.325 0.173 0.357
0.325 0.652 0.893
0.674 0.836 0.125
0.325 0.652 0.357
0.325 0.173 0.893
0.163 0.831 0.125
0.165 0.333 0.125
```

---

Entry 5:
DFT (PBE-GGA) results for Mg6CdCo after structural relaxation.

Results
- energy relative to the elements (eV per atom) = 0.087

```
Mg6CdCo
1.0
4.853 0.000 0.000
0.000 6.181 0.000
0.000 0.000 10.597
Co Mg Cd
2 12 2
direct
0.500 0.000 0.833
0.500 0.500 0.333
0.500 0.751 0.584
0.500 0.251 0.084
0.000 0.500 0.176
0.000 0.500 0.667
0.000 0.235 0.912
0.000 0.765 0.912
0.000 0.265 0.412
0.000 0.000 0.676
0.500 0.749 0.084
0.000 0.000 0.167
0.500 0.249 0.584
0.000 0.735 0.412
0.500 0.500 0.833
0.500 0.000 0.333
```

---

Entry 6:
-- stop --

One way is to look at the distribution of the most recent 100,000 blocks (about 1 month in time) rewards to infer how many nodes there are in the network.

Look at the ratio of nodes that won 1 block reward to the number that won 2 block rewards. If the ratio is high eg 200:1 you know there are a large number of nodes in the network, if its low eg 4:1 you know there is a low number of nodes in the network. Since the nubmer of nodes in the network is tied to NKN’s price in USD due to the equilibrium point of mining, you can from this information infer the price of NKN in USD.

Eg suppose you tell me that in the past 100,000 blocks, 90% of addresses won 1 reward and 10% won 2 awards (this can be known by looking at the blockchain itself, the number that won 0 rewards is unknown). From this information I can infer that there are approximately 1 million NKN nodes in the network and from knowing the number of nodes I can make a good estiamte of the price in USD.

With 1 million nodes the chance of a reward is 1-(999999/1000000), so after 100k blocks your chances of winning 0 rewards is (999,999/1,000,000)^100,000 = 0.9. The chance of winning 1 reward is 0.1. And the chance of winning 2 rewards is about 0.1 * 0.1 = 0.01. 1 million nodes is required for the ratio to be 10:1 - if there were fewer nodes the ratio would be lower and if there were more nodes the ratio would be higher.

Obviously there’s much more sophisticated formulas to do this that use the number of nodes that won 3, 4, 5 rewards etc but this is the concept I’m working with at the moment. Although there’s probably a flaw with this idea that I’m not aware of, tbh I’m not even sure this would work with how beneficiary addresses function.

If NKN rises in price by a few orders of magnitude and the NKN teams decides to lower the cost from 10 NKN to eg 1 NKN, this will risk creating forks of the network. Miners of the network will be against lowering the price to start mining because they want fewer competitors. This is why I tried to think of a way for there to be a built in approach that adjusts the fee automatically that everyone can agree on.